The thing that makes the circle of fifths so extremely powerful is that it can be utilized in so many different ways.
One minute, you're using it to find out which notes are in a particular key. The next, it becomes your songwriting assistant, helping you come up with creative chords and melodies.
To help you understand the full extent of the different ways you can apply the circle of fifths to music, we've gathered up 10 of the very best circle of fifths videos the internet has to offer.
You'll be blown away at how many different ways you can put the circle of fifths to use in your musical endeavors!
Want a refresher on how the circle of fifths works? Check out our Beginner's Guide to the Circle of Fifths
1. The Circle of Fifths - How to Actually Use It by Michael New
This is by far one of the most viewed videos on the circle of fifths, and for good reason!
Michael New gives a comprehensive (yet easy to understand) walkthrough of the Circle of Fifths and how to use it.
Many new players who have previously struggled to understand the concept have had their breakthroughs with this video.
2. Circle of Fifths Explained (For Guitar) by Active Melody
While the fundamental principles of the circle of fifths are identical regardless of which instrument you play, it can be helpful to have it explained from the perspective of someone who plays your specific instrument.
This super helpful video by Active Melody focuses on finding chords and chord families, but exclusively from the perspective of a guitarist.
### Inserted here: calculated crystals
____________
Model one:
{"formula": "Li2SnP4O12", "functional": "PBE", "state": "relaxed", "sg": "C2/c (15)", "total_magnetization_mub_per_cell": 0.00, "vol_a3_per_cell": 540.7, "lattice_angstrom": [[4.624, -7.913, 0.000], [4.624, 7.913, 0.000], [-0.232, 0.000, 7.388]], "species": ["Li", "Li", "Li", "Li", "Sn", "Sn", "P", "P", "P", "P", "P", "P", "P", "P", "O", "O", "O", "O", "O", "O", "O", "O", "O", "O", "O", "O", "O", "O", "O", "O", "O", "O", "O", "O", "O", "O", "O", "O"], "frac_coords": [[0.014, 0.701, 0.818], [0.299, 0.986, 0.682], [0.701, 0.014, 0.318], [0.986, 0.299, 0.182], [0.369, 0.631, 0.250], [0.631, 0.369, 0.750], [0.045, 0.718, 0.384], [0.273, 0.426, 0.822], [0.282, 0.955, 0.116], [0.426, 0.273, 0.322], [0.574, 0.727, 0.678], [0.718, 0.045, 0.884], [0.727, 0.574, 0.178], [0.955, 0.282, 0.616], [0.080, 0.580, 0.322], [0.091, 0.789, 0.574], [0.126, 0.874, 0.250], [0.149, 0.339, 0.650], [0.179, 0.434, 0.985], [0.211, 0.909, 0.926], [0.339, 0.149, 0.150], [0.342, 0.378, 0.341], [0.378, 0.342, 0.841], [0.384, 0.616, 0.750], [0.420, 0.920, 0.178], [0.434, 0.179, 0.485], [0.566, 0.821, 0.515], [0.580, 0.080, 0.822], [0.616, 0.384, 0.250], [0.622, 0.658, 0.159], [0.658, 0.622, 0.659], [0.661, 0.851, 0.850], [0.789, 0.091, 0.074], [0.821, 0.566, 0.015], [0.851, 0.661, 0.350], [0.874, 0.126, 0.750], [0.909, 0.211, 0.426], [0.920, 0.420, 0.678]]}

Model two:
{"formula": "Li2SnP4O12", "functional": "PBE", "state": "relaxed", "sg": "P4/nbm (125)", "total_magnetization_mub_per_cell": 0.00, "vol_a3_per_cell": 458.8, "lattice_angstrom": [[9.852, 0.000, 0.000], [0.000, 9.852, 0.000], [0.000, 0.000, 4.727]], "species": ["Li", "Li", "Li", "Li", "Sn", "Sn", "P", "P", "P", "P", "P", "P", "P", "P", "O", "O", "O", "O", "O", "O", "O", "O", "O", "O", "O", "O", "O", "O", "O", "O", "O", "O", "O", "O", "O", "O", "O", "O"], "frac_coords": [[0.000, 0.000, 0.000], [0.000, 0.500, 0.000], [0.500, 0.000, 0.000], [0.500, 0.500, 0.000], [0.250, 0.250, 0.000], [0.750, 0.750, 0.000], [0.039, 0.750, 0.500], [0.250, 0.539, 0.500], [0.250, 0.961, 0.500], [0.461, 0.750, 0.500], [0.539, 0.250, 0.500], [0.750, 0.039, 0.500], [0.750, 0.461, 0.500], [0.961, 0.250, 0.500], [0.034, 0.178, 0.266], [0.034, 0.322, 0.734], [0.143, 0.643, 0.653], [0.143, 0.857, 0.347], [0.178, 0.034, 0.734], [0.178, 0.466, 0.266], [0.322, 0.034, 0.266], [0.322, 0.466, 0.734], [0.357, 0.643, 0.347], [0.357, 0.857, 0.653], [0.466, 0.178, 0.734], [0.466, 0.322, 0.266], [0.534, 0.678, 0.734], [0.534, 0.822, 0.266], [0.643, 0.143, 0.347], [0.643, 0.357, 0.653], [0.678, 0.534, 0.266], [0.678, 0.966, 0.734], [0.822, 0.534, 0.734], [0.822, 0.966, 0.266], [0.857, 0.143, 0.653], [0.857, 0.357, 0.347], [0.966, 0.678, 0.266], [0.966, 0.822, 0.734]]}

Quick one: least stable of them? model one

Model one:
____________
3. Understand the Circle of 5ths by Rick Beato
Rick Beato is one of the most well-respected theory gurus on the internet. His knowledge and insight on any theoretical concept seem to be limitless.
Yet, despite his musical pedigree, he's also got a knack for explaining things in a way that's easy for beginners to understand.
If you want a concise overview of how the circle of fifths words, this is the one to check out.
4. EASY UKULELE SCALES W/ Circle of 5ths by Ukulele Project Hawaii
The ukulele has some interesting ways to voice chords because of its tuning and the fact it only has 4 strings.
This can make transferring information designed for piano or guitar to the ukulele a bit of a headache.
This video gives you a nice overview of scales using the circle of fifths but presents everything exclusively from the perspective of the ukulele.
Want a handy circle of fifths reference for the ukulele? Check out our FREE Ukulele Cheat Sheet.
5. Is The Circle Of Fifths Useless? (Piano Lesson) by Pianote
Pianote is one of the most popular piano teaching channels on the internet. They cater to everyone from beginner to advanced and are adept at explaining difficult to understand concepts from the piano perspective.
While this video isn’t a complete comprehensive guide, it gives some fantastic up-front information that you can immediately begin incorporating into your playing.
6. How to Play Chord Progressions Using the Circle of Fifths by At Home With Music
Being able to play interesting and unique chord progressions using modulations and proximity is one of the great joys of using the circle of fifths.
At Home With Music takes a wonderful deep dive into using the circle of fifths for playing chord progressions in an accessible, and oddly relaxing way.
7. Determining Chord Progressions In A Song by Karen Ramirez
Ever found yourself stuck trying to figure out the chords of a song, or maybe you have 2 or 3 chords down but you can't quite figure out the rest?
Despite this video being 16 years old, Karen Ramirez’s video on how to find chord progressions using the circle of fifths remains one of the best explanations on the internet! She’s even got a cool keyboard mounted on her dry erase board!
8. 7 Ways To Actually Use the Circle of 5ths by Gracie Terzian
If you started using the circle of fifths for just one or two things but always wondered what else you’re missing, look no further.
Gracie Terzian gives a wonderful overview of all the different ways you can make your life easier as a musician by using the circle of fifths to its fullest extent.
9. 8 Facts About the Circle of Fifths that you May Not Already Know by Brian Kelly
It can’t be overstated just how much you can do with the circle of fifths.
If you’ve got the basics down already, Brian Kelly's facts about the circle of fifths may surprise you with all the interesting ways you can use this fantastic tool. Or you can tattoo the Circle of Fifths on your forearm as a quick reference as Brian did!
10. The Circle of Fifths for SONGWRITING by Mike George
For songwriters who want to come up with intriguing and interesting chord progressions that go beyond just simple diatonic harmony.
Mike George teaches you how you can use the circle of fifths as an infinite well of creative inspiration when writing your songs.
Music Mastery with the Circle of Fifths
We hope you've found these videos entertaining and have gained a better understanding of both how the circle of fifths works and all the different ways you can apply it to your musical endeavors.
There are helpful Circle of Fifths Decoder posters available for the guitar and piano which gives you immediate access to all the information you need at a glance.
Or if you want a more hands-on experience the Circle of Fifths Decoder is a handy tool to give you the power of the circle of fifths at your fingertips.